Data.
~~~
{
  "formula": "C5H8N2",
  "method": "wB97M-V/def2-TZVPD",
  "symbols": ["C", "C", "C", "C", "N", "N", "C", "H", "H", "H", "H", "H", "H", "H", "H"],
  "positions_angstrom": [[-1.9754, 0.1129, 0.0671], [-0.6287, -0.3763, -0.4061], [0.4937, 0.5618, -0.7465], [0.4563, 2.0029, -0.5837], [0.5045, 3.1400, -0.3776], [0.4696, -0.1658, 0.4974], [1.5544, -1.0704, 0.8027], [-1.8335, 0.9702, 0.7306], [-2.6129, 0.4142, -0.7704], [-2.4924, -0.6731, 0.6280], [-0.6382, -1.2761, -1.0311], [1.1563, 0.2213, -1.5465], [2.0426, -1.5117, -0.0791], [1.2060, -1.8671, 1.4647], [2.2977, -0.4828, 1.3506]],
  "forces_ev_per_angstrom": [[0.0, 0.0, 0.0], [-0.1, -0.1, 0.0], [0.2, 0.2, -0.1], [0.0, 1.0, 0.2], [-0.2, -1.0, -0.3], [0.0, 0.0, 0.2], [0.1, -0.1, 0.0], [0.0, -0.1, -0.1], [0.1, -0.1, 0.1], [0.1, 0.1, -0.1], [0.1, 0.1, 0.2], [0.0, 0.1, 0.2], [-0.2, 0.0, 0.0], [0.0, 0.1, -0.1], [0.0, -0.2, -0.1]],
  "gap_ha": 0.394,
  "smiles": "C[C@H]1[C@@H](C#N)N1C",
  "homo_ev": -9.816,
  "lumo_energy_ev": 0.9,
  "total_energy_ev": -8293.28571
}


{
  "formula": "C5H8N2",
  "method": "wB97M-V/def2-TZVPD",
  "symbols": ["C", "C", "C", "N", "C", "C", "N", "H", "H", "H", "H", "H", "H", "H", "H"],
  "positions_angstrom": [[1.5596, -0.4149, -0.6207], [0.6053, 0.3463, 0.2920], [-0.4509, 1.2898, -0.3179], [-1.4146, 0.8290, 0.6989], [-0.6108, -0.3765, 0.9447], [-1.0405, -1.5655, 0.1877], [-1.3799, -2.4874, -0.4248], [1.2694, -0.3121, -1.6707], [2.5851, -0.0492, -0.5183], [1.5632, -1.4865, -0.3970], [1.1436, 0.8609, 1.0920], [-0.7075, 0.9850, -1.3431], [-0.2462, 2.3648, -0.3006], [-2.3624, 0.6623, 0.3755], [-0.5135, -0.6460, 2.0022]],
  "forces_ev_per_angstrom": [[0.0, 0.0, 0.0], [0.1, 0.0, 0.0], [0.1, 0.2, -0.2], [-0.3, 0.0, 0.0], [0.1, -0.2, 0.2], [-0.3, -0.8, -0.5], [0.3, 0.9, 0.6], [0.0, 0.0, 0.1], [-0.1, 0.0, 0.0], [0.0, 0.1, 0.0], [-0.1, -0.1, -0.1], [0.0, 0.0, 0.1], [0.0, -0.2, 0.0], [0.1, 0.0, 0.1], [0.0, 0.0, -0.2]],
  "gap_ha": 0.396,
  "smiles": "C[C@H]1CN[C@H]1C#N",
  "homo_ev": -9.804,
  "lumo_energy_ev": 1.0,
  "total_energy_ev": -8293.62521
}


{
  "formula": "C5H8N2",
  "method": "wB97M-V/def2-TZVPD",
  "symbols": ["C", "C", "C", "N", "N", "C", "C", "H", "H", "H", "H", "H", "H", "H", "H"],
  "positions_angstrom": [[1.0396, 1.3595, 0.8916], [0.4367, -2.5625, -1.8816], [-1.3708, 0.8274, 0.3999], [-1.7721, 1.5726, 1.4424], [-0.0760, 0.9122, 0.0661], [-0.0853, -0.4036, -0.4315], [0.2977, -1.3491, -1.0930], [-1.1769, 2.1983, 1.9644], [-2.7521, 1.6218, 1.6327], [1.2983, 2.3909, 0.6162], [0.7838, 1.3358, 1.9729], [1.9271, 0.7415, 0.7112], [-0.2559, -3.3331, -1.5546], [1.4490, -2.9547, -1.7918], [0.2568, -2.3570, -2.9448]],
  "forces_ev_per_angstrom": [[0.3, 0.7, 0.5], [0.2, -0.1, -0.2], [-2.6, 2.0, 1.4], [0.4, -0.2, -0.5], [0.0, -2.7, -0.2], [2.9, 0.2, -1.7], [-0.8, 0.6, 0.7], [0.1, 0.2, 0.1], [-0.2, -0.1, 0.1], [-0.1, -0.2, 0.1], [0.2, -0.1, -0.5], [-0.5, 0.1, 0.0], [-0.1, -0.1, 0.0], [0.0, -0.1, 0.0], [0.0, 0.0, 0.2]],
  "gap_ha": 0.314,
  "homo_ev": -7.649,
  "lumo_energy_ev": 0.9,
  "total_energy_ev": -8290.45561
}


{
  "formula": "C5H8N2",
  "method": "wB97M-V/def2-TZVPD",
  "symbols": ["C", "C", "N", "C", "C", "C", "N", "H", "H", "H", "H", "H", "H", "H", "H"],
  "positions_angstrom": [[1.5725, -0.8602, 0.1389], [0.8930, 0.4604, -0.1221], [0.1140, 0.8374, -1.3105], [-0.5913, 0.4811, -0.0788], [-1.4232, -0.7785, -0.2116], [-1.0373, 1.4355, 0.9102], [-1.3012, 2.1162, 1.8131], [1.1218, -1.2229, 1.0746], [1.4189, -1.6282, -0.6239], [2.6382, -0.7377, 0.3271], [1.3911, 1.3156, 0.3422], [0.1257, 1.8470, -1.4447], [-0.9544, -1.4415, -0.9418], [-1.5600, -1.3167, 0.7314], [-2.4078, -0.5075, -0.6042]],
  "forces_ev_per_angstrom": [[0.0, -0.2, 0.0], [0.3, 0.1, -0.1], [0.1, 0.2, 0.1], [-0.2, -0.3, 0.2], [-0.1, 0.0, 0.0], [-0.6, 1.1, 1.0], [0.2, -0.7, -1.2], [0.3, -0.1, -0.2], [0.0, 0.3, 0.0], [0.0, 0.0, -0.2], [-0.3, -0.3, 0.1], [0.2, -0.2, 0.0], [0.0, 0.1, 0.1], [0.1, 0.2, -0.1], [0.1, -0.1, 0.1]],
  "gap_ha": 0.398,
  "smiles": "C[C@H]1N[C@]1(C)C#N",
~~~

Activity.
The reader should write out every line further up that contains the word "formula".

Here it is.
  "formula": "C5H8N2",
  "formula": "C5H8N2",
  "formula": "C5H8N2",
  "formula": "C5H8N2",